Wanted:
Your job: work out how many lines further down have the word "per" in them; a number is enough.

Given:
~~~
First-principles (PBE+U) data for a relaxed Li2Ti3FeO8 crystal, as listed in the Materials Project.

Computed properties:
- Electronic total energy: -0.5746 Ry per atom
- Distance to the lowest polymorph of the same formula: 26 meV per atom
- Formation energy from the elements: -2.9743 eV/atom

Cell: 5.961 9.870 10.292 Å, 90.02 90.05 90.02°
Atoms (fractional coordinates):
Li 0.000 0.000 0.000
Li 0.000 0.109 0.333
Li 0.000 0.500 0.667
Li 0.499 0.109 0.833
Li 0.500 0.500 0.167
Li 0.500 0.609 0.834
Li 0.501 0.000 0.500
Li 0.999 0.609 0.334
Ti 0.000 0.826 0.501
Ti 0.246 0.324 0.919
Ti 0.246 0.825 0.749
Ti 0.252 0.324 0.418
Ti 0.253 0.824 0.249
Ti 0.499 0.826 0.001
Ti 0.500 0.326 0.666
Ti 0.746 0.325 0.418
Ti 0.747 0.825 0.249
Ti 0.753 0.325 0.918
Ti 0.753 0.824 0.749
Ti 0.999 0.326 0.166
Fe 0.001 0.103 0.666
Fe 0.500 0.103 0.165
Fe 0.500 0.602 0.502
Fe 0.999 0.603 0.002
O 0.000 0.216 0.000
O 0.000 0.437 0.852
O 0.000 0.716 0.667
O 0.000 0.925 0.333
O 0.000 0.937 0.816
O 0.001 0.217 0.491
O 0.225 0.436 0.075
O 0.226 0.935 0.591
O 0.234 0.219 0.256
O 0.234 0.718 0.411
O 0.265 0.218 0.755
O 0.266 0.718 0.911
O 0.275 0.436 0.575
O 0.275 0.936 0.092
O 0.499 0.937 0.315
O 0.500 0.215 0.500
O 0.500 0.217 0.991
O 0.500 0.425 0.834
O 0.500 0.437 0.352
O 0.500 0.716 0.167
O 0.500 0.925 0.833
O 0.501 0.717 0.676
O 0.726 0.435 0.576
O 0.726 0.935 0.092
O 0.733 0.218 0.756
O 0.734 0.718 0.912
O 0.765 0.218 0.255
O 0.765 0.719 0.412
O 0.774 0.435 0.076
O 0.776 0.937 0.592
O 0.999 0.425 0.334
O 0.999 0.717 0.176

* * * * *

1.
This record from the Materials Project describes a relaxed Nd5Fe18B18 crystal. The functional is PBE.

```
data_Nd5Fe18B18
_chemical_formula_sum 'Nd20 Fe72 B72'
_symmetry_space_group_name_H-M 'P c c n'
_symmetry_Int_Tables_number 56
_symmetry_space_group_name_Hall '-P 2ab 2ac'
_cell_length_a 7.0667
_cell_length_b 7.0718
_cell_length_c 34.7038
_cell_angle_alpha 90.00
_cell_angle_beta 90.00
_cell_angle_gamma 90.00
loop_
_atom_site_label
_atom_site_fract_x
_atom_site_fract_y
_atom_site_fract_z
Nd1 0.2500 0.2500 0.0238
Nd2 0.2500 0.2500 0.1245
Nd3 0.2500 0.2500 0.2234
Nd4 0.2500 0.2500 0.3221
Nd5 0.2500 0.2500 0.4224
Fe1 0.1173 0.6378 0.4290
Fe2 0.1178 0.6376 0.3186
Fe3 0.1213 0.6353 0.5398
Fe4 0.1241 0.6333 0.2074
Fe5 0.1289 0.6283 0.6514
Fe6 0.1328 0.6255 0.0955
Fe7 0.1360 0.6196 0.7632
Fe8 0.1369 0.6193 0.9843
Fe9 0.1380 0.6170 0.8738
B1 0.0494 0.5836 0.9289
B2 0.0550 0.5814 0.8184
B3 0.0560 0.5823 0.0396
B4 0.0680 0.5746 0.1511
B5 0.0689 0.5748 0.7071
B6 0.0788 0.5592 0.2627
B7 0.0791 0.5630 0.5953
B8 0.0829 0.5502 0.3735
B9 0.0827 0.5527 0.4841
```

Properties
* energy: -1255.729 eV for the cell shown
* formation energy: -424.4 meV per atom
* total moment: 0.06 μB per cell



2.
This record from the Materials Project describes a relaxed Sr3Ta2Ti6O21 crystal. The functional is PBE.

```
data_Sr3Ta2Ti6O21
_chemical_formula_sum 'Sr6 Ta4 Ti12 O42'
_symmetry_space_group_name_H-M 'P 63/m c m'
_symmetry_Int_Tables_number 193
_symmetry_space_group_name_Hall '-P 6c 2'
_cell_length_a 8.9726
_cell_length_b 8.9726
_cell_length_c 11.6672
_cell_angle_alpha 90.00
_cell_angle_beta 90.00
_cell_angle_gamma 120.00
loop_
_atom_site_label
_atom_site_fract_x
_atom_site_fract_y
_atom_site_fract_z
Sr1 0.0000 0.4022 0.2500
Ta1 0.3333 0.6667 0.0000
Ti1 0.0000 0.2396 0.5957
O1 0.0000 0.1977 0.7500
O2 0.0000 0.2095 0.0753
O3 0.1646 0.4844 0.6043
```

Properties
* energy: -545.684 eV for the cell shown
* formation energy: -3350.1 meV per atom
* total moment: 4.00 μB per cell
* E (MP2020): -8.98 eV/atom



3.
This record from the Materials Project describes a relaxed Na2Re3S6 crystal. The functional is PBE.

```
data_Na2Re3S6
_chemical_formula_sum 'Na16 Re24 S48'
_symmetry_space_group_name_H-M 'C 1 2/c 1'
_symmetry_Int_Tables_number 15
_symmetry_space_group_name_Hall '-C 2yc'
_cell_length_a 16.0646
_cell_length_b 9.7355
_cell_length_c 11.6542
_cell_angle_alpha 90.00
_cell_angle_beta 92.71
_cell_angle_gamma 90.00
loop_
_atom_site_label
~~~

Done:
6